Your next camping Trip: Plan it or be Spontaneous

There are some people who have to have everything planned.

When they are doing something or going somewhere, it’s planned down to every last detail, how you get there, what to do once you are there and what time frame everything should be done in, and then there’s the what to bring?

And a whole other set of planning comes into play.


Then there are others that like to live off the cuff, so to speak, they like just to go, based just on an idea of where they would like to go and maybe an idea of what to do once they get there, but there’s not much foresight or much planning that goes into the trip before it actually happens.

These are obviously the two extremes of planning a trip, or not. The thing is, each has its positives and negatives, so let’s go ahead and explore the differences, the good and bad of both ways to approach an upcoming camping trip or any trip for that matter!

One of the real advantages of being a planner when it comes to going somewhere new is that you can be confident that you’re not going to miss some essential must-see attraction or view.

What comes next are materials data, not part of the article >
1.
{"formula": "YbSe2", "functional": "meta-GGA r2SCAN", "state": "optimized geometry", "cell": [[4.0158, 0.0000, 0.0000], [0.0000, 4.0158, 0.0000], [0.0000, 0.0000, 8.1556]], "species": ["Yb", "Yb", "Se", "Se", "Se", "Se"], "frac_coords": [[0.0000, 0.5000, 0.7269], [0.5000, 0.0000, 0.2731], [0.0000, 0.0000, 0.0000], [0.5000, 0.5000, 0.0000], [0.0000, 0.5000, 0.3703], [0.5000, 0.0000, 0.6297]], "crystal_system": "tetragonal", "e_tot_ev_per_atom": -23.422}


2.
{"formula": "Cs2Ni3Se4", "functional": "meta-GGA r2SCAN", "state": "optimized geometry", "cell": [[-5.2541, -2.7033, 1.6574], [5.1894, -3.2757, 0.0081], [1.2444, 4.9269, 6.1697]], "species": ["Cs", "Cs", "Ni", "Ni", "Ni", "Se", "Se", "Se", "Se"], "frac_coords": [[0.3412, 0.3412, 0.6823], [0.6588, 0.6588, 0.3177], [0.0000, 0.5000, 0.0000], [0.0000, 0.0000, 0.0000], [0.5000, 0.0000, 0.0000], [0.2699, 0.9351, 0.2050], [0.7301, 0.0649, 0.7950], [0.0649, 0.7301, 0.7950], [0.9351, 0.2699, 0.2050]], "crystal_system": "orthorhombic", "e_tot_ev_per_atom": -16.708}


3.
{"formula": "CaMnO2", "functional": "meta-GGA r2SCAN", "state": "optimized geometry", "cell": [[3.2526, 0.0004, -4.6909], [0.0025, -6.4628, 0.0004], [-3.2503, -0.0010, -4.6894]], "species": ["Ca", "Ca", "Ca", "Ca", "Mn", "Mn", "Mn", "Mn", "O", "O", "O", "O", "O", "O", "O", "O"], "frac_coords": [[0.9694, 0.8854, 0.5315], [0.4694, 0.8854, 0.0315], [0.9694, 0.6146, 0.0315], [0.4694, 0.6146, 0.5315], [0.4708, 0.3720, 0.0339], [0.4709, 0.1280, 0.5339], [0.9708, 0.3720, 0.5339], [0.9709, 0.1280, 0.0339], [0.2159, 0.1437, 0.2783], [0.7159, 0.1437, 0.7783], [0.2160, 0.3563, 0.7782], [0.7160, 0.3563, 0.2783], [0.2189, 0.8859, 0.7812], [0.7189, 0.8859, 0.2812], [0.2190, 0.6141, 0.2811], [0.7190, 0.6141, 0.7811]], "e_tot_ev_per_atom": -10.980}


4.
{"formula": "NiAuO2", "functional": "meta-GGA r2SCAN", "state": "optimized geometry", "cell": [[2.5120, 0.9364, -1.2412], [0.1668, 0.3273, -2.9313], [-0.9744, 6.1358, -0.8590]], "species": ["Ni", "Au", "O", "O"], "frac_coords": [[0.5000, 0.5000, 0.5000], [0.0000, 0.0000, 0.0000], [0.8877, 0.8877, 0.3370], [0.1123, 0.1123, 0.6630]], "crystal_system": "trigonal", "e_tot_ev_per_atom": -19.426}


5.
{"formula": "InBr3", "functional": "meta-GGA r2SCAN", "state": "optimized geometry", "cell": [[-1.5303, -1.1528, 6.6367], [5.2295, -3.2752, 2.8843], [5.0476, 3.5317, 2.9010]], "species": ["In", "In", "Br", "Br", "Br", "Br", "Br", "Br"], "frac_coords": [[0.0000, 0.8334, 0.3332], [0.0000, 0.1666, 0.6668], [0.2376, 0.7757, 0.0000], [0.7639, 0.9271, 0.6491], [0.7624, 0.2243, 0.0000], [0.2361, 0.0729, 0.3509], [0.7639, 0.5762, 0.3509], [0.2361, 0.4238, 0.6491]], "crystal_system": "monoclinic", "e_tot_ev_per_atom": -16.611}


6.
The materials data stop here >

What happens even more now, with the boom of the internet, is a person who truly enjoys planning can spend plenty of time, hours, days, and even months planning, they can cover every second of an upcoming trip to ensure that they will see and do everything that there is to see and do in the amount of time that they have available.

Additionally, many people who consider themselves planners actually enjoy this process, not only do they get to ensure that they will not miss anything but they also get to learn a load of new and useful information about the location, kit they’re going to be using and what to expect when they arrive.


There can be a disadvantage to all this planning, if they’re spending all of this time and energy planning something and it goes wrong, that’s setting yourself up for disappointment, and that could mess up the trip.

Focusing so much on the trip can mess up life now, with a focus on all the things involved in planning it’s easy to forget about family, work, and responsibilities and this is never a good thing.

In addition, sometimes there are just something things that cannot be planned well in advance and a person may not even learn about until visiting the campsite or arriving at the destination, the addition of a new idea or place to go can really throw a wrench in their diligently prepared itinerary.

One great benefit of taking the spontaneity route is that you literally can expect the unexpected, if anything these are the highlights of the trip, there are no expectations, you just decided to go, and you go, and you look forward to excitement ahead.

With this approach you truly have freedom, once you end up wherever you decide to camp you have the freedom to do what you want, go where you want to go, move to a new area based on something that you pass, or a conversation with someone you meet, you can go with what seems interesting, not having a defined itinerary can be very exciting!


One disadvantage to not planning anything is that unfortunately more often than not you will forget some bit of kit or information that could really help you.

Also, it can also be hard to guarantee a prime camping spot as many people are planners and will have booked it much earlier.

To be honest, a healthy mix of the two seems the best way in which to handle an upcoming camping trip, or nearly any trip for that matter, this way you can have the fun and excitement of spontaneously deciding to camp and travel, but also have a little bit of foresight and research into the basics and what to see once you are there, so you do not miss anything truly spectacular.